~~~
Record 1
{"formula": "C35H43As3Br2CuN5Se", "method": "the ωB97M-V functional and the def2-TZVPD basis", "spin_multiplicity": 2, "orbital_gap_ev": [7.0, 6.4], "lumo_energy_ev": [-3.25, -4.04], "relative_energy_kcal_mol": 0.0, "charge": 1, "elements": ["Cu", "Br", "C", "C", "C", "N", "C", "C", "C", "C", "C", "Br", "C", "C", "N", "H", "H", "H", "H", "H", "H", "C", "As", "C", "C", "C", "C", "C", "As", "C", "C", "C", "As", "C", "C", "H", "H", "H", "H", "H", "H", "H", "H", "H", "H", "H", "H", "H", "H", "H", "H", "H", "H", "H", "H", "H", "H", "H", "H", "H", "H", "H", "C", "C", "C", "C", "C", "C", "C", "C", "N", "H", "H", "H", "H", "H", "H", "Se", "N", "C", "C", "C", "C", "C", "C", "N", "H", "H", "H", "H"], "xyz": [[-0.597, -0.245, 0.604], [-4.765, 1.080, 5.708], [-3.729, 0.839, 4.161], [-3.079, 1.891, 3.539], [-2.318, 1.627, 2.405], [-2.199, 0.385, 1.878], [-2.788, -0.629, 2.531], [-3.517, -0.440, 3.688], [-2.616, -1.989, 1.957], [-3.472, -3.028, 2.246], [-3.229, -4.280, 1.675], [-4.311, -5.737, 2.097], [-2.144, -4.455, 0.832], [-1.360, -3.349, 0.587], [-1.585, -2.181, 1.149], [-3.150, 2.903, 3.922], [-1.830, 2.436, 1.901], [-3.893, -1.276, 4.263], [-4.379, -2.928, 2.888], [-1.960, -5.422, 0.352], [-0.527, -3.399, -0.146], [-0.554, -1.546, -2.681], [0.647, -0.660, -1.420], [2.008, -2.043, -1.515], [1.209, 0.706, -2.758], [2.223, 1.840, -2.570], [2.604, 2.288, -3.991], [1.554, 3.045, -1.904], [0.486, 2.682, -0.270], [-0.501, 4.384, -0.255], [1.661, 3.237, 1.198], [3.448, 1.273, -1.752], [5.232, 2.106, -2.136], [5.021, 3.792, -1.148], [6.085, 1.109, -0.639], [-0.001, -1.916, -3.535], [-1.319, -0.826, -2.934], [-1.081, -2.369, -2.196], [2.292, -2.338, -2.498], [1.641, -2.910, -1.005], [2.880, -1.728, -0.946], [0.229, 1.114, -3.038], [1.581, 0.072, -3.512], [1.696, 2.659, -4.516], [3.058, 1.496, -4.598], [3.367, 3.118, -3.966], [0.898, 3.493, -2.623], [2.268, 3.799, -1.651], [0.272, 5.140, -0.333], [-1.017, 4.521, 0.688], [-1.229, 4.446, -1.067], [2.087, 4.202, 0.957], [2.433, 2.570, 1.534], [0.971, 3.453, 2.029], [3.582, 0.230, -2.075], [3.265, 1.300, -0.678], [4.404, 4.472, -1.741], [5.987, 4.259, -1.040], [4.548, 3.672, -0.158], [6.219, 0.062, -0.810], [5.517, 1.101, 0.299], [7.050, 1.570, -0.340], [1.033, -0.136, 2.582], [1.710, -1.391, 2.463], [1.158, -2.572, 3.011], [1.745, -3.800, 2.906], [2.935, -3.925, 2.149], [3.539, -2.752, 1.617], [2.929, -1.536, 1.777], [3.545, -5.214, 2.001], [3.947, -6.294, 1.887], [1.505, 0.742, 2.162], [0.137, -0.072, 3.176], [0.227, -2.510, 3.600], [1.307, -4.671, 3.377], [4.459, -2.884, 1.007], [3.375, -0.671, 1.303], [-2.890, 2.092, -2.312], [-2.945, 0.501, -1.509], [-4.167, 0.033, -1.571], [-4.607, -1.201, -0.985], [-5.946, -1.453, -0.984], [-6.880, -0.614, -1.651], [-6.488, 0.541, -2.278], [-5.090, 0.882, -2.252], [-4.630, 2.084, -2.664], [-3.835, -1.803, -0.490], [-6.317, -2.399, -0.512], [-7.910, -0.848, -1.633], [-7.124, 1.193, -2.824]], "mulliken_charge": [-0.052, -0.114, -0.308, -0.709, -0.332, 1.077, 0.433, -0.956, 0.270, -0.544, -0.500, -0.107, -0.758, -0.584, 1.479, 0.475, 0.253, 0.533, 0.482, 0.511, -0.082, -1.279, 1.409, -1.256, -2.819, 2.780, -1.968, -1.767, 0.601, -1.431, -1.599, -1.328, 0.279, -0.975, -1.186, 0.497, 0.333, 0.383, 0.617, 0.396, 0.051, 0.302, 0.798, 0.450, 0.404, 0.472, 0.663, 0.335, 0.465, 0.429, 0.346, 0.509, 0.427, 0.391, 0.652, 0.204, 0.271, 0.462, 0.186, 0.416, 0.269, 0.401, -2.145, 1.062, -0.295, -0.880, 0.812, -0.782, -0.071, -0.185, -0.466, 0.283, 0.744, 0.362, 0.528, 0.404, 0.533, 0.322, -0.285, 0.513, 0.004, -0.501, -0.607, -0.699, 0.470, -0.790, 0.338, 0.360, 0.434, 0.478]}

Record 2
~~~

Next, transcribe the listing earlier on without additions.

Record 1
{"formula": "C35H43As3Br2CuN5Se", "method": "the ωB97M-V functional and the def2-TZVPD basis", "spin_multiplicity": 2, "orbital_gap_ev": [7.0, 6.4], "lumo_energy_ev": [-3.25, -4.04], "relative_energy_kcal_mol": 0.0, "charge": 1, "elements": ["Cu", "Br", "C", "C", "C", "N", "C", "C", "C", "C", "C", "Br", "C", "C", "N", "H", "H", "H", "H", "H", "H", "C", "As", "C", "C", "C", "C", "C", "As", "C", "C", "C", "As", "C", "C", "H", "H", "H", "H", "H", "H", "H", "H", "H", "H", "H", "H", "H", "H", "H", "H", "H", "H", "H", "H", "H", "H", "H", "H", "H", "H", "H", "C", "C", "C", "C", "C", "C", "C", "C", "N", "H", "H", "H", "H", "H", "H", "Se", "N", "C", "C", "C", "C", "C", "C", "N", "H", "H", "H", "H"], "xyz": [[-0.597, -0.245, 0.604], [-4.765, 1.080, 5.708], [-3.729, 0.839, 4.161], [-3.079, 1.891, 3.539], [-2.318, 1.627, 2.405], [-2.199, 0.385, 1.878], [-2.788, -0.629, 2.531], [-3.517, -0.440, 3.688], [-2.616, -1.989, 1.957], [-3.472, -3.028, 2.246], [-3.229, -4.280, 1.675], [-4.311, -5.737, 2.097], [-2.144, -4.455, 0.832], [-1.360, -3.349, 0.587], [-1.585, -2.181, 1.149], [-3.150, 2.903, 3.922], [-1.830, 2.436, 1.901], [-3.893, -1.276, 4.263], [-4.379, -2.928, 2.888], [-1.960, -5.422, 0.352], [-0.527, -3.399, -0.146], [-0.554, -1.546, -2.681], [0.647, -0.660, -1.420], [2.008, -2.043, -1.515], [1.209, 0.706, -2.758], [2.223, 1.840, -2.570], [2.604, 2.288, -3.991], [1.554, 3.045, -1.904], [0.486, 2.682, -0.270], [-0.501, 4.384, -0.255], [1.661, 3.237, 1.198], [3.448, 1.273, -1.752], [5.232, 2.106, -2.136], [5.021, 3.792, -1.148], [6.085, 1.109, -0.639], [-0.001, -1.916, -3.535], [-1.319, -0.826, -2.934], [-1.081, -2.369, -2.196], [2.292, -2.338, -2.498], [1.641, -2.910, -1.005], [2.880, -1.728, -0.946], [0.229, 1.114, -3.038], [1.581, 0.072, -3.512], [1.696, 2.659, -4.516], [3.058, 1.496, -4.598], [3.367, 3.118, -3.966], [0.898, 3.493, -2.623], [2.268, 3.799, -1.651], [0.272, 5.140, -0.333], [-1.017, 4.521, 0.688], [-1.229, 4.446, -1.067], [2.087, 4.202, 0.957], [2.433, 2.570, 1.534], [0.971, 3.453, 2.029], [3.582, 0.230, -2.075], [3.265, 1.300, -0.678], [4.404, 4.472, -1.741], [5.987, 4.259, -1.040], [4.548, 3.672, -0.158], [6.219, 0.062, -0.810], [5.517, 1.101, 0.299], [7.050, 1.570, -0.340], [1.033, -0.136, 2.582], [1.710, -1.391, 2.463], [1.158, -2.572, 3.011], [1.745, -3.800, 2.906], [2.935, -3.925, 2.149], [3.539, -2.752, 1.617], [2.929, -1.536, 1.777], [3.545, -5.214, 2.001], [3.947, -6.294, 1.887], [1.505, 0.742, 2.162], [0.137, -0.072, 3.176], [0.227, -2.510, 3.600], [1.307, -4.671, 3.377], [4.459, -2.884, 1.007], [3.375, -0.671, 1.303], [-2.890, 2.092, -2.312], [-2.945, 0.501, -1.509], [-4.167, 0.033, -1.571], [-4.607, -1.201, -0.985], [-5.946, -1.453, -0.984], [-6.880, -0.614, -1.651], [-6.488, 0.541, -2.278], [-5.090, 0.882, -2.252], [-4.630, 2.084, -2.664], [-3.835, -1.803, -0.490], [-6.317, -2.399, -0.512], [-7.910, -0.848, -1.633], [-7.124, 1.193, -2.824]], "mulliken_charge": [-0.052, -0.114, -0.308, -0.709, -0.332, 1.077, 0.433, -0.956, 0.270, -0.544, -0.500, -0.107, -0.758, -0.584, 1.479, 0.475, 0.253, 0.533, 0.482, 0.511, -0.082, -1.279, 1.409, -1.256, -2.819, 2.780, -1.968, -1.767, 0.601, -1.431, -1.599, -1.328, 0.279, -0.975, -1.186, 0.497, 0.333, 0.383, 0.617, 0.396, 0.051, 0.302, 0.798, 0.450, 0.404, 0.472, 0.663, 0.335, 0.465, 0.429, 0.346, 0.509, 0.427, 0.391, 0.652, 0.204, 0.271, 0.462, 0.186, 0.416, 0.269, 0.401, -2.145, 1.062, -0.295, -0.880, 0.812, -0.782, -0.071, -0.185, -0.466, 0.283, 0.744, 0.362, 0.528, 0.404, 0.533, 0.322, -0.285, 0.513, 0.004, -0.501, -0.607, -0.699, 0.470, -0.790, 0.338, 0.360, 0.434, 0.478]}

Record 2